**Activity**
It remains to filter the data below: keep the lines with the word "rel".
**Source**
-- begin --
For PrTmLuTl, DFT lattice parameters and positions (GGA-PBE) gives the computed powder diffractogram in this record (λ = 1.5418 Å (Cu Kα)).
Kinematic intensities with the Lorentz-polarization factor, no thermal factor.

Main lines, sorted by position (5 to 70 degrees two-theta):
(1 1 1), 19.8°, rel. 1; (2 0 0), 22.9°, rel. 1; (2 2 0), 32.6°, rel. 100; (4 0 0), 46.8°, rel. 18; (4 2 2), 58.2°, rel. 39; (4 4 0), 68.3°, rel. 12

Crystal structure
```
data_PrTmLuTl
_cell_length_a 7.7650
_cell_length_b 7.7650
_cell_length_c 7.7650
_cell_angle_alpha 90.00
_cell_angle_beta 90.00
_cell_angle_gamma 90.00
_symmetry_space_group_name_H-M 'P 1'
_symmetry_Int_Tables_number 1
_symmetry_space_group_name_Hall 'P 1'
loop_
_atom_site_label
_atom_site_type_symbol
_atom_site_fract_x
_atom_site_fract_y
_atom_site_fract_z
Pr1 Pr 0.0000 0.0000 0.0000
Pr2 Pr 0.0000 0.5000 0.5000
Pr3 Pr 0.5000 0.0000 0.5000
Pr4 Pr 0.5000 0.5000 0.0000
Tm1 Tm 0.0000 0.0000 0.5000
Tm2 Tm 0.0000 0.5000 0.0000
Tm3 Tm 0.5000 0.0000 0.0000
Tm4 Tm 0.5000 0.5000 0.5000
Lu1 Lu 0.2500 0.2500 0.2500
Lu2 Lu 0.2500 0.7500 0.7500
Lu3 Lu 0.7500 0.2500 0.7500
Lu4 Lu 0.7500 0.7500 0.2500
Tl1 Tl 0.2500 0.2500 0.7500
Tl2 Tl 0.2500 0.7500 0.2500
Tl3 Tl 0.7500 0.2500 0.2500
Tl4 Tl 0.7500 0.7500 0.7500
```

---

For LuPt, DFT lattice parameters and positions (GGA-PBE) gives the computed powder diffractogram in this record (λ = 1.5418 Å (Cu Kα)).
Kinematic intensities with the Lorentz-polarization factor, no thermal factor.

Main lines, sorted by position (5 to 70 degrees two-theta):
(1 1 1), 28.9°, rel. 19; (2 1 0), 33.0°, rel. 71; (1 0 2), 35.2°, rel. 46; (2 1 1), 37.0°, rel. 100; (0 2 0), 40.3°, rel. 52; (1 1 2), 40.8°, rel. 87; (3 0 1), 43.1°, rel. 20; (1 2 2), 54.6°, rel. 26; (4 0 1), 56.6°, rel. 22; (3 2 1), 60.5°, rel. 19

Crystal structure
```
data_LuPt
_cell_length_a 6.8133
_cell_length_b 4.4778
_cell_length_c 5.4919
_cell_angle_alpha 90.00
_cell_angle_beta 90.00
_cell_angle_gamma 90.00
_symmetry_space_group_name_H-M 'P 1'
_symmetry_Int_Tables_number 1
_symmetry_space_group_name_Hall 'P 1'
loop_
_atom_site_label
_atom_site_type_symbol
_atom_site_fract_x
_atom_site_fract_y
_atom_site_fract_z
Lu1 Lu 0.1815 0.2500 0.1420
Lu2 Lu 0.3185 0.7500 0.6420
Lu3 Lu 0.6815 0.2500 0.3580
Lu4 Lu 0.8185 0.7500 0.8580
Pt1 Pt 0.0435 0.2500 0.6577
Pt2 Pt 0.4565 0.7500 0.1577
Pt3 Pt 0.5435 0.2500 0.8423
Pt4 Pt 0.9565 0.7500 0.3423
```

~~~~~

Structure and simulated XRD peak list of Pr2Y12Ho5 (a GGA-PBE-relaxed structure; a wavelength of 1.5418 Å).
Neutral-atom scattering factors, no anomalous dispersion.

Structural model:
```
data_Pr2Y12Ho5
_chemical_formula_sum 'Pr2 Y12 Ho5'
_symmetry_space_group_name_H-M 'P 1'
_symmetry_Int_Tables_number 1
_cell_length_a 6.5418
_cell_length_b 8.6960
_cell_length_c 11.8097
_cell_angle_alpha 89.02
_cell_angle_beta 87.35
_cell_angle_gamma 67.98
loop_
_symmetry_equiv_pos_as_xyz
'x,y,z'
loop_
_atom_site_label
_atom_site_type_symbol
_atom_site_fract_x
_atom_site_fract_y
_atom_site_fract_z
Pr1 Pr 0.0000 0.0000 0.0000
Pr2 Pr 0.4398 0.1183 0.0002
Y1 Y 0.0062 0.6307 0.8805
Y2 Y 0.0813 0.8214 0.4994
Y3 Y 0.1455 0.4439 0.3755
Y4 Y 0.3577 0.6317 0.1204
Y5 Y 0.3635 0.8220 0.7670
Y6 Y 0.4822 0.0212 0.4997
Y7 Y 0.6188 0.4161 0.8823
Y8 Y 0.6223 0.2348 0.2376
Y9 Y 0.7603 0.0253 0.7386
Y10 Y 0.8029 0.8199 0.2299
Y11 Y 0.8835 0.2173 0.5011
Y12 Y 0.9628 0.4133 0.1166
Ho1 Ho 0.1366 0.2347 0.7627
Ho2 Ho 0.2037 0.0248 0.2618
Ho3 Ho 0.3956 0.4477 0.6263
Ho4 Ho 0.5719 0.5933 0.3794
Ho5 Ho 0.8238 0.5911 0.6234
```

Main lines, in order of rising 2θ (15° ≤ 2θ ≤ 90°):
2θ/deg	I_rel	h k l
30.85	550	1 2 3
31.96	1000	2 1 -2
32.03	472	1 3 -1
32.32	589	0 1 -4
32.66	549	2 0 2
44.73	155	-1 1 5
45.25	128	3 3 1
47.50	181	1 -3 3
56.94	233	3 4 -3
63.71	125	3 4 5
-- stop --
**Outcome**
(1 1 1), 19.8°, rel. 1; (2 0 0), 22.9°, rel. 1; (2 2 0), 32.6°, rel. 100; (4 0 0), 46.8°, rel. 18; (4 2 2), 58.2°, rel. 39; (4 4 0), 68.3°, rel. 12
(1 1 1), 28.9°, rel. 19; (2 1 0), 33.0°, rel. 71; (1 0 2), 35.2°, rel. 46; (2 1 1), 37.0°, rel. 100; (0 2 0), 40.3°, rel. 52; (1 1 2), 40.8°, rel. 87; (3 0 1), 43.1°, rel. 20; (1 2 2), 54.6°, rel. 26; (4 0 1), 56.6°, rel. 22; (3 2 1), 60.5°, rel. 19